Translation of the annual report

    From The Document Foundation Wiki

    Welcome to the page dedicated to the translation of the annual report !

    The annual report is due to the German authorities of the Foundation in Berlin. As such, it is first written in German and is send each year by the end of April. It contains all the information on what has been achieved by the community during the last year. We believe that this report is a very useful tool to show the world about our project and the vibrant community we are.

    The report has been exported to .odm to ease the translation, it is now decomposed in 7 chapters uploaded below. When finished, it will be exported again to an .odt document, links will be broken and sections will be removed to get a clean document again.

    German version

    Please add your name in front of the chapter you chose to translate so we know who is handling what, thanks :-) For example: Sophie -> translation, or Sophie -> proofreading. When the chapter is finalized, please upload it on the English part below.

    English version

Density functional theory data (PBE) for a geometry-optimized YZn2Se structure.

Values from the calculation:
The value obtained for the energy relative to the elements, uncorrected is -580 meV/atom. The space group is R3m.

Unit cell a=6.653 b=6.653 c=6.653 alpha=38.08 beta=38.08 gamma=38.08
Atoms (fractional coordinates):
Y 0.000 0.000 0.000
Zn 0.434 0.434 0.434
Zn 0.769 0.769 0.769
Se 0.261 0.261 0.261

Density functional theory data (PBE) for a geometry-optimized Al5Hg structure.

Values from the calculation:
For the energy above the most stable polymorph in this dataset, the calculation gives 10.0 meV/atom. The space group is Cmmm. The value obtained for the energy of formation from the pure elements is 0.098 eV/atom.

Unit cell a=6.580 b=6.580 c=4.198 alpha=90.00 beta=90.00 gamma=143.93
Atoms (fractional coordinates):
Al 0.000 0.000 0.000
Al 0.173 0.827 0.500
Al 0.326 0.674 0.000
Al 0.674 0.326 0.000
Al 0.827 0.173 0.500
Hg 0.500 0.500 0.500

Density functional theory data (PBE) for a geometry-optimized MgFe2TcIr structure.

Values from the calculation:
The space group is P4/mmm. The value obtained for the energy of formation from the pure elements is 2.002 eV/atom.

Unit cell a=4.123 b=4.123 c=4.392 alpha=90.00 beta=90.00 gamma=90.00
Atoms (fractional coordinates):
Mg 0.000 0.000 0.000
Fe 0.000 0.500 0.000
Fe 0.500 0.000 0.000
Tc 0.000 0.000 0.500
Ir 0.500 0.500 0.500

| no. | total magnetization (μB/cell) | mass density (g cm⁻³) | Fermi-level density of states (states/eV per cell) |
| --- | --- | --- | --- |
| 1 | 0.00 | 4.9 | 1.79 |
| 2 | 0.00 | 5.2 | 1.94 |
| 3 | 0.00 | 9.5 | 8.35 |

=====

PmPr4Tm | GGA-PBE | relaxed

The structure in CIF format:
```
data_PmPr4Tm
_cell_length_a 11.928
_cell_length_b 3.505
_cell_length_c 11.732
_cell_angle_alpha 90.00
_cell_angle_beta 119.56
_cell_angle_gamma 90.00
_symmetry_space_group_name_H-M 'C 1 2/m 1'
_symmetry_Int_Tables_number 12
loop_
_symmetry_equiv_pos_as_xyz
'x,y,z'
'-x,-y,-z'
'-x,y,-z'
'x,-y,z'
'x+1/2,y+1/2,z'
'-x+1/2,-y+1/2,-z'
'-x+1/2,y+1/2,-z'
'x+1/2,-y+1/2,z'
loop_
_atom_site_label
_atom_site_type_symbol
_atom_site_fract_x
_atom_site_fract_y
_atom_site_fract_z
_atom_site_occupancy
Pm1 Pm 0.000 0.000 0.000 1
Pr1 Pr 0.186 0.000 0.841 1
Pr2 Pr 0.190 0.000 0.346 1
Tm1 Tm 0.000 0.000 0.500 1
```

* final energy: -4.55 eV per atom
* density: 6.83 g cm⁻³
* total magnetic moment: 0.00 Bohr magnetons per cell

=====

(1)
# ZrTlHg2, relaxed, DFT PBE
data_ZrTlHg2
_chemical_formula_sum 'Zr1 Tl1 Hg2'
_symmetry_space_group_name_H-M 'P 1'
_symmetry_Int_Tables_number 1
_cell_length_a 4.451
_cell_length_b 4.451
_cell_length_c 4.565
_cell_angle_alpha 90.00
_cell_angle_beta 90.00
_cell_angle_gamma 90.00
loop_
_symmetry_equiv_pos_as_xyz
'x,y,z'
loop_
_atom_site_label
_atom_site_fract_x
_atom_site_fract_y
_atom_site_fract_z
Zr1 0.000 0.000 0.000
Tl1 0.500 0.500 0.000
Hg1 0.000 0.500 0.500
Hg2 0.500 0.000 0.500
# E_form in eV per atom: -0.048
# Crystal system: tetragonal



(2)
# FeTcSCl2, relaxed, DFT PBE

    • File:Annualreport131EN.odt Chapter 1, translated, needs to be proofreaded.
      • Robinson -> proofing (NOTE: Translation is very rough; meaning of many sentences is unclear. Possibility of 2nd draft before proofing?)
      • Sigrid --> I re-checked the translation and hope, I made it more understandable. Please, someone fix my grammar errors. :)
      • Hazel has proof read it
      • Sophie --> currently in her hands to finalize it.
    • File:Annualreport132 en.odt Chapter 2, translated, needs to be proofread.
      • Sophie --> currently in her hands to finalize it
    • File:Annualreport133 en.odt Chapter 3, translated, needs to be proofread.
      • Sophie --> currently in her hands to finalize it
    • File:Annualreport134 en.odt Chapter 4, manual translation, proofreading appreciated.
      • Sophie --> currently in her hands to finalize it
    • File:Annualreport135 en.odt Chapter 5, translated, needs to be proofread.
      • Sophie --> currently in her hands to finalize it
    • File:Annualreport136en.odt Chapter 6, translated, needs to be proofreaded.
    • File:Annualreport137en.odt Chapter 7, translated, needs to be proofreaded.
      • Sigrid --> I re-checked this document as well and I believe I made it more understandable. As above, please someone fix my grammar errors. :)
      • Sophie --> currently in her hands to finalize it

    • Final hybrid PDF document
      • File:AnnualReportEN.pdf Finalized document, corrections may still happen but the document could already be used for translation.

    Albanian Version